It remains to count the lines further below that contain the word "Energy" and give the number alone.

/*
No. 1
! K2SrSe2 GGA-PBE optimized geometry; values from VASP
&SYSTEM
  ibrav = 0, nat = 10, ntyp = 3
/
ATOMIC_SPECIES
K 39.10 K.upf
Sr 87.62 Sr.upf
Se 78.96 Se.upf
ATOMIC_POSITIONS crystal
K 0.127 0.373 0.000
K 0.373 0.873 0.000
K 0.627 0.127 0.000
K 0.873 0.627 0.000
Sr 0.000 0.000 0.500
Sr 0.500 0.500 0.500
Se 0.183 0.683 0.500
Se 0.317 0.183 0.500
Se 0.683 0.817 0.500
Se 0.817 0.317 0.500
CELL_PARAMETERS angstrom
8.535 0.000 0.000
0.000 8.535 0.000
0.000 0.000 4.658
! - Uncorrected formation energy: -1.22 eV/atom
! - Relative energy among the computed polymorphs: 0.000 eV/atom
! - Electronic total energy: -3.385 eV per atom
! - Symmetry: P4/mbm (127)



No. 2
! Ho5SbPt2 GGA-PBE optimized geometry; values from VASP
&SYSTEM
  ibrav = 0, nat = 16, ntyp = 3
/
ATOMIC_SPECIES
Ho 164.93 Ho.upf
Sb 121.76 Sb.upf
Pt 195.08 Pt.upf
ATOMIC_POSITIONS crystal
Ho 0.000 0.000 0.000
Ho 0.018 0.518 0.815
Ho 0.203 0.018 0.500
Ho 0.297 0.797 0.815
Ho 0.482 0.297 0.500
Ho 0.500 0.500 0.000
Ho 0.518 0.703 0.500
Ho 0.703 0.203 0.185
Ho 0.797 0.982 0.500
Ho 0.982 0.482 0.185
Sb 0.250 0.250 0.000
Sb 0.750 0.750 0.000
Pt 0.138 0.362 0.500
Pt 0.362 0.862 0.223
Pt 0.638 0.138 0.777
Pt 0.862 0.638 0.500
CELL_PARAMETERS angstrom
-3.859 3.859 6.807
3.859 -3.859 6.807
3.859 3.859 -6.807
! - Uncorrected formation energy: -1.01 eV/atom
! - Electronic total energy: -5.895 eV per atom
! - Symmetry: I4/mcm (140)



No. 3
! MgBeRh2 GGA-PBE optimized geometry; values from VASP
&SYSTEM
  ibrav = 0, nat = 4, ntyp = 3
/
ATOMIC_SPECIES
Mg 24.30 Mg.upf
Be 9.01 Be.upf
Rh 102.91 Rh.upf
ATOMIC_POSITIONS crystal
Mg 0.000 0.000 0.000
Be 0.500 0.500 0.000
Rh 0.000 0.500 0.500
Rh 0.500 0.000 0.500
CELL_PARAMETERS angstrom
2.725 -3.950 0.000
2.725 3.950 0.000
-1.133 0.000 2.510
! - Energy of formation from the pure elements: -0.2070 eV/atom
! - Relative energy among the computed polymorphs: 0.281 eV/atom
! - Electronic total energy: -5.213 eV per atom
! - Symmetry: C2/m (12)



No. 4
! ZnH2Pt2 GGA-PBE optimized geometry; values from VASP
&SYSTEM
  ibrav = 0, nat = 10, ntyp = 3
/
ATOMIC_SPECIES
Zn 65.41 Zn.upf
H 1.01 H.upf
Pt 195.08 Pt.upf
ATOMIC_POSITIONS crystal
Zn 0.000 0.000 0.000
Zn 0.500 0.500 0.000
H 0.140 0.360 0.000
H 0.360 0.860 0.000
H 0.640 0.140 0.000
H 0.860 0.640 0.000
Pt 0.177 0.323 0.500
Pt 0.323 0.823 0.500
Pt 0.677 0.177 0.500
Pt 0.823 0.677 0.500
CELL_PARAMETERS angstrom
5.599 0.000 0.000
0.000 5.599 0.000
0.000 0.000 3.478
! - Relative energy among the computed polymorphs: 0.000 eV/atom
! - Electronic total energy: -4.143 eV per atom
! - Symmetry: P4/mbm (127)



No. 5
! Pm4Ge5 GGA-PBE optimized geometry; values from VASP
&SYSTEM
  ibrav = 0, nat = 9, ntyp = 2
/
ATOMIC_SPECIES
Pm 145.00 Pm.upf
Ge 72.64 Ge.upf
ATOMIC_POSITIONS crystal
Pm 0.066 0.319 0.385
Pm 0.319 0.934 0.253
Pm 0.681 0.066 0.747
Pm 0.934 0.681 0.615
Ge 0.000 0.000 0.000
Ge 0.300 0.580 0.880
Ge 0.420 0.300 0.720
Ge 0.580 0.700 0.280
Ge 0.700 0.420 0.120
CELL_PARAMETERS angstrom
-4.319 4.319 3.084
4.319 -4.319 3.084
4.319 4.319 -3.084
! - Energy of formation from the pure elements: -0.3981 eV/atom
! - Electronic total energy: -5.075 eV per atom
! - Symmetry: I4/m (87)



No. 6
! Tb2PrYEr5 GGA-PBE optimized geometry; values from VASP
&SYSTEM
  ibrav = 0, nat = 18, ntyp = 4
/
ATOMIC_SPECIES
Tb 158.93 Tb.upf
Pr 140.91 Pr.upf
Y 88.91 Y.upf
Er 167.26 Er.upf
ATOMIC_POSITIONS crystal
Tb 0.113 0.613 0.726
Tb 0.387 0.113 0.500
Tb 0.613 0.887 0.500
Tb 0.887 0.387 0.274
Pr 0.250 0.250 0.000
Pr 0.750 0.750 0.000
Y 0.250 0.750 0.500
Y 0.750 0.250 0.500
Er 0.000 0.000 0.000
Er 0.074 0.162 0.500
Er 0.162 0.662 0.087
Er 0.338 0.426 0.500
Er 0.426 0.926 0.087
Er 0.500 0.500 0.000
Er 0.574 0.074 0.913
Er 0.662 0.574 0.500
Er 0.838 0.338 0.913
Er 0.926 0.838 0.500
CELL_PARAMETERS angstrom
-4.445 4.445 7.364
4.445 -4.445 7.364
4.445 4.445 -7.364
! - Energy of formation from the pure elements: 0.2811 eV/atom
! - Electronic total energy: -4.532 eV per atom
! - Symmetry: I4/mcm (140)



No. 7
*/

3